Exercise =
Print the rows further down character by character.

Excerpt =
+++
Material: SrCr2W
Method: DFT, PBE-GGA
State: optimized geometry

Values from the calculation:
The value obtained for the volume is 301 Å³ per cell. The energy of formation is 1258 meV per atom. The density is 8.29 g cm⁻³.

Lattice parameters (Å, degrees): 6.6997 6.6997 6.6997 90.00 90.00 90.00
Space group F-43m (No. 216)
Unique sites:
Sr: 0.0000 0.0000 0.0000 (multiplicity 4)
Cr: 0.0000 0.0000 0.5000 (multiplicity 4)
Cr: 0.2500 0.2500 0.2500 (multiplicity 4)
W: 0.2500 0.2500 0.7500 (multiplicity 4)

~~~~~

Density functional theory data (GGA-PBE) for a relaxed BaIr crystal.

Cell: 6.1595 15.3690 9.3821 Å, 90.00 90.00 90.00°
Element x y z (fractional)
1 Ba 0.0000 0.0000 0.6749
2 Ba 0.0000 0.0000 0.3251
3 Ba 0.2500 0.7500 0.5751
4 Ba 0.2500 0.7500 0.9249
5 Ba 0.0000 0.5000 0.1749
6 Ba 0.0000 0.5000 0.8251
7 Ba 0.2500 0.2500 0.0751
8 Ba 0.2500 0.2500 0.4249
9 Ba 0.5000 0.0000 0.1749
10 Ba 0.5000 0.0000 0.8251
11 Ba 0.7500 0.7500 0.0751
12 Ba 0.7500 0.7500 0.4249
13 Ba 0.5000 0.5000 0.6749
14 Ba 0.5000 0.5000 0.3251
15 Ba 0.7500 0.2500 0.5751
16 Ba 0.7500 0.2500 0.9249
17 Ir 0.0000 0.0805 0.0000
18 Ir 0.0000 0.9195 0.0000
19 Ir 0.2500 0.6695 0.2500
20 Ir 0.2500 0.8305 0.2500
21 Ir 0.0000 0.5805 0.5000
22 Ir 0.0000 0.4195 0.5000
23 Ir 0.2500 0.1695 0.7500
24 Ir 0.2500 0.3305 0.7500
25 Ir 0.5000 0.0805 0.5000
26 Ir 0.5000 0.9195 0.5000
27 Ir 0.7500 0.6695 0.7500
28 Ir 0.7500 0.8305 0.7500
29 Ir 0.5000 0.5805 0.0000
30 Ir 0.5000 0.4195 0.0000
31 Ir 0.7500 0.1695 0.2500
32 Ir 0.7500 0.3305 0.2500

Properties
Final energy in hartree per atom: -0.1887
Calculated volume in Å³/atom: 27.76
D(E_F) in states/eV/f.u.: 1.22
+++

Here it is =
Material: SrCr2W
Method: DFT, PBE-GGA
State: optimized geometry

Values from the calculation:
The value obtained for the volume is 301 Å³ per cell. The energy of formation is 1258 meV per atom. The density is 8.29 g cm⁻³.

Lattice parameters (Å, degrees): 6.6997 6.6997 6.6997 90.00 90.00 90.00
Space group F-43m (No. 216)
Unique sites:
Sr: 0.0000 0.0000 0.0000 (multiplicity 4)
Cr: 0.0000 0.0000 0.5000 (multiplicity 4)
Cr: 0.2500 0.2500 0.2500 (multiplicity 4)
W: 0.2500 0.2500 0.7500 (multiplicity 4)

~~~~~

Density functional theory data (GGA-PBE) for a relaxed BaIr crystal.

Cell: 6.1595 15.3690 9.3821 Å, 90.00 90.00 90.00°
Element x y z (fractional)
1 Ba 0.0000 0.0000 0.6749
2 Ba 0.0000 0.0000 0.3251
3 Ba 0.2500 0.7500 0.5751
4 Ba 0.2500 0.7500 0.9249
5 Ba 0.0000 0.5000 0.1749
6 Ba 0.0000 0.5000 0.8251
7 Ba 0.2500 0.2500 0.0751
8 Ba 0.2500 0.2500 0.4249
9 Ba 0.5000 0.0000 0.1749
10 Ba 0.5000 0.0000 0.8251
11 Ba 0.7500 0.7500 0.0751
12 Ba 0.7500 0.7500 0.4249
13 Ba 0.5000 0.5000 0.6749
14 Ba 0.5000 0.5000 0.3251
15 Ba 0.7500 0.2500 0.5751
16 Ba 0.7500 0.2500 0.9249
17 Ir 0.0000 0.0805 0.0000
18 Ir 0.0000 0.9195 0.0000
19 Ir 0.2500 0.6695 0.2500
20 Ir 0.2500 0.8305 0.2500
21 Ir 0.0000 0.5805 0.5000
22 Ir 0.0000 0.4195 0.5000
23 Ir 0.2500 0.1695 0.7500
24 Ir 0.2500 0.3305 0.7500
25 Ir 0.5000 0.0805 0.5000
26 Ir 0.5000 0.9195 0.5000
27 Ir 0.7500 0.6695 0.7500
28 Ir 0.7500 0.8305 0.7500
29 Ir 0.5000 0.5805 0.0000
30 Ir 0.5000 0.4195 0.0000
31 Ir 0.7500 0.1695 0.2500
32 Ir 0.7500 0.3305 0.2500

Properties
Final energy in hartree per atom: -0.1887
Calculated volume in Å³/atom: 27.76
D(E_F) in states/eV/f.u.: 1.22